The Silent Reader and the Tot
There was a bassinet and in it a lay a tot
Dark bleak nights and days so short
Sleep was rare and rarer was it sound
The tot often wondered, is death around?
But death isn’t so kind, neither is life
To understand it well, supreme souls must connive
So, the supreme souls said, “Let it be then”
Reveal the intricate secrets before she comes to heaven
Then came striding, the Silent Reader
Conspicuous, vivacious and so very tender
She held the tot’s hand and rocked the cradle
The tot looked up and saw an end to her trouble
“You are mistaken my darling”, said the silent reader
“I can’t end the unrest, but I can be your mentor”
I will tell you the secrets and the lore of love and life
But you are your own savior, you alone have to strive
Nights went by and the tot heard stories
Of life, of death, of a dervish called Shams of Tabriz
The wintry nights kept getting shorter
**Between two parts of the entry: calculated molecules**
C36H55N4OP2RuSe | ωB97M-V/def2-TZVPD

XYZ file:
```
100
Properties=species:S:1:pos:R:3:forces:R:3
C 1.310437 1.471972 -2.273349 0.28 -0.15 0.54
C -0.942360 1.026377 -2.451606 -0.21 0.72 0.03
C 1.421493 1.779178 -3.623044 -0.44 0.01 -0.35
C -0.945305 1.576642 -3.774238 -0.27 -0.52 0.05
C 0.248190 1.942853 -4.367553 0.39 0.12 0.17
H 2.416378 1.881939 -4.043606 -0.21 0.08 -0.10
H -1.890978 1.606767 -4.308805 0.22 -0.11 -0.07
H 0.311355 2.290296 -5.395131 -0.22 -0.02 0.16
N 0.128928 1.342124 -1.644521 0.30 -1.75 0.30
P 2.235297 1.440276 0.294234 1.05 0.44 -1.26
P -2.298188 -0.873319 -0.677104 -1.27 -0.98 0.39
C 2.553430 1.130764 -1.494775 -0.40 0.17 -0.09
H 2.779175 0.063635 -1.639328 -0.29 0.25 -0.02
H 3.411222 1.694150 -1.873414 -0.14 -0.20 0.21
C -1.916713 0.081950 -2.079275 -1.35 2.95 -1.08
H -2.783408 0.104425 -2.758504 0.39 -0.18 -0.03
C -2.803227 -2.506596 -1.734101 0.25 -0.18 0.49
C -3.875401 -0.270799 0.365301 0.37 0.05 -0.11
C 3.664111 0.389971 1.047646 -0.33 0.39 0.34
C 2.543687 3.349499 0.207057 -0.14 0.00 0.54
C -2.172000 -3.615433 -0.888216 -0.06 -0.49 0.00
H -2.625107 -3.698431 0.108267 0.09 0.03 -0.20
H -2.300438 -4.576922 -1.406552 -0.04 0.14 0.22
H -1.094436 -3.447631 -0.764946 -0.28 -0.09 0.05
C -4.309519 -2.718502 -1.929008 -0.30 -0.01 0.09
H -4.886987 -2.826037 -1.008469 0.17 0.01 -0.37
H -4.757569 -1.927161 -2.544077 0.13 -0.24 0.14
H -4.442792 -3.657293 -2.490283 0.14 0.22 0.14
C -2.212302 -2.557447 -3.155621 0.17 0.23 -0.18
H -2.053429 -3.614572 -3.426658 -0.16 0.31 0.11
H -2.884897 -2.121648 -3.904887 0.10 -0.07 0.23
H -1.246310 -2.055670 -3.243273 -0.29 -0.03 -0.01
C -4.360778 -1.467929 1.191792 0.04 -0.35 -0.17
H -3.532082 -1.872806 1.790697 -0.22 0.11 -0.14
H -5.150832 -1.136883 1.883788 0.22 -0.01 -0.24
H -4.773468 -2.290083 0.603349 0.09 0.30 0.26
C -3.492171 0.815865 1.366294 0.43 0.08 0.12
H -2.678670 0.473422 2.023669 -0.29 0.16 -0.22
H -3.189526 1.751142 0.886409 -0.09 -0.14 0.02
H -4.360544 1.037832 2.007643 0.17 -0.07 -0.30
C -4.866546 0.312945 -0.630908 -0.26 -0.01 -0.34
H -5.241092 -0.419301 -1.352815 0.02 0.23 0.26
H -5.727454 0.717495 -0.079321 0.17 -0.07 -0.14
H -4.399677 1.140088 -1.186358 -0.23 -0.13 0.18
C 2.583319 3.861729 1.649808 0.09 0.29 0.21
H 2.781252 4.945068 1.631134 -0.06 -0.32 0.09
H 1.617490 3.716428 2.155054 0.26 0.04 -0.14
H 3.376375 3.390399 2.246583 -0.16 0.14 -0.14
C 1.397641 4.072391 -0.527101 -0.20 -0.22 0.01
H 1.359110 3.814306 -1.590540 0.01 0.13 0.21
H 0.420659 3.876416 -0.080265 0.12 0.12 -0.13
H 1.583161 5.155589 -0.463573 -0.02 -0.33 0.05
C 3.824746 3.756446 -0.542718 0.28 -0.09 0.10
H 3.930910 4.847158 -0.442783 -0.06 -0.30 0.02
H 4.735607 3.302538 -0.146421 -0.20 0.18 -0.13
H 3.764039 3.552287 -1.618305 0.02 0.11 0.25
C 3.597069 -1.045604 0.495640 -0.06 -0.06 -0.05
H 4.022408 -1.128586 -0.513025 -0.08 0.06 0.20
H 4.194738 -1.700297 1.148953 -0.15 0.26 -0.15
H 2.570266 -1.430457 0.479502 0.14 0.03 0.04
C 3.458133 0.336354 2.562425 0.08 -0.15 0.32
There was sunshine now and the tot was merrier
But the coldness of the night bothered her still,
“When will it end, can you give me a magic pill?”
The Silent Reader smiled infectiously,
“The pill is with you”, she said so humbly
“Hold on my dear”, said the Silent Reader
“For there is no winter that lasts forever”
Months passed by and the tot was growing
What wasn’t visible earlier, now she was seeing
She smiled more often and lesser she cried
She changed herself briskly yet remain unchanged
Finally, spring came and the tot was at glee
Out she ran but came back feeling chilly
“Wasn’t spring here to stay”, said she perturbed
“Of course, it is”, said the serene faced Silent Reader
Life is a mix of all seasons and will always be so,
But sometimes when it's chilly you have to just let go
Accept what you can’t change and change what you can
Happiness is a choice, in life’s topsy turvy lane
Twinkled the tot’s eye, for she finally had her answers
The page is interrupted by quantum chemistry results >
-- begin --
Density functional theory data (wB97M-V/def2-TZVPD) for C7H15N2ORuS4Sb as an isolated structure.

- ⟨S²⟩: 8.79
- Multiplicity: 6
- Energy: -64982.684 eV
- Net charge: +1
- Orbital gap (spin up / spin down): 7.191 / 6.350 eV
- Molar mass: 494.3 Da

Atoms and positions in Å:
1 Ru -0.26 0.58 -0.31
2 S 2.47 1.29 4.59
3 Sb 1.84 -0.99 4.50
4 S -0.01 0.33 1.91
5 S 1.78 -0.72 2.12
6 C 2.13 3.47 -4.03
7 C 1.09 3.35 -2.93
8 N 0.83 1.96 -2.51
9 C 1.71 1.20 -1.80
10 S 1.42 -0.50 -1.69
11 N 2.76 1.80 -1.25
12 C 3.81 1.14 -0.48
13 C 5.01 0.79 -1.35
14 H 2.25 4.51 -4.30
15 H 1.81 2.92 -4.92
16 H 3.10 3.08 -3.73
17 H 0.13 3.74 -3.26
18 H 1.35 3.93 -2.04
19 H 0.24 1.42 -3.12
20 H 2.91 2.77 -1.48
21 H 3.38 0.25 -0.03
22 H 4.09 1.81 0.33
23 H 4.72 0.08 -2.13
24 H 5.79 0.33 -0.74
25 H 5.43 1.67 -1.82
26 C -3.30 0.93 0.85
27 C -2.17 0.97 -0.11
28 O -2.20 1.17 -1.31
29 H -4.23 1.25 0.38
30 H -3.06 1.55 1.71
31 H -3.39 -0.10 1.21


1.
Density functional theory data (ωB97M-V/def2-TZVPD) for a structure of composition C32H58BN9OReS3Si at a distorted geometry.

```
106
Properties=species:S:1:pos:R:3:forces:R:3
Re 0.808195 -0.748422 -0.091469 0.1817 0.9497 -0.8067
C 0.985918 1.307611 4.550616 -0.0933 0.0360 0.0083
C -0.449364 1.157019 5.062217 0.0006 -0.0227 -0.0098
C -0.451226 0.074080 6.140851 0.0521 0.0120 0.0667
C -0.983100 2.446546 5.688681 0.0394 -0.0970 -0.0135
N -1.319919 0.708918 3.942247 0.0003 0.0624 -0.1698
C -1.961115 -0.511234 3.930743 -0.2099 -0.1710 -0.1519
C -2.531103 -0.655873 2.723464 0.0544 -0.1964 0.2792
N -2.237246 0.451532 1.960162 -0.0120 -0.0783 0.0955
B -2.824456 0.558567 0.533784 -0.0183 0.0151 -0.1005
N -2.258338 1.764870 -0.250570 0.1256 -0.1509 -0.4138
C -3.167287 2.725209 -0.628801 -0.0492 0.1649 -0.1115
C -2.505057 3.759839 -1.171734 -0.1221 0.0137 0.2756
N -1.156680 3.464512 -1.105271 -0.1433 -0.3167 -0.1295
C -1.035170 2.219714 -0.566355 -0.0668 0.0808 -0.4535
S 0.538711 1.516605 -0.364196 0.1159 -0.4239 0.6758
C -0.118540 4.343586 -1.729783 0.0455 0.0113 0.0100
C 1.090832 4.564428 -0.815116 -0.0426 0.0815 0.0268
C -0.748067 5.720058 -1.970428 -0.0139 -0.0406 -0.1046
C 0.292774 3.718375 -3.061825 0.0851 0.0276 0.0469
N -2.852405 -0.873067 -0.170385 0.2084 -0.1567 -0.0755
C -3.966096 -1.625393 0.135061 -0.1408 -0.2084 -0.0424
C -3.721357 -2.914299 -0.157645 -0.1393 0.1588 0.2949
N -2.438884 -2.995907 -0.661684 0.1324 0.3360 -0.0131
C -1.929271 -1.715236 -0.733163 0.0740 0.0330 -0.2491
S 0.066921 -1.779828 1.644229 -0.0589 -0.2455 0.1612
C -1.801852 -4.360775 -0.697381 -0.1034 -0.0030 -0.0965
C -2.824547 -5.319022 -1.316237 0.0817 -0.0994 -0.1347
C -1.535417 -4.790279 0.746017 -0.0833 -0.0871 0.0399
C -0.501496 -4.468551 -1.486493 -0.0708 0.0798 0.1848
C -1.530043 1.323058 2.727674 0.1505 0.2390 0.1200
S -1.097875 2.918833 2.334440 0.0992 0.1139 0.3225
H 1.646705 1.518385 5.393327 0.0229 0.0149 0.0193
H 1.051623 2.119925 3.833337 -0.0239 0.0677 -0.0293
H 1.306922 0.381392 4.067488 -0.0139 -0.0225 0.0009
-- stop --
The quantum chemistry results stop here >
It didn’t hurt anymore; she was no more her own vexer
Stood up the Silent Reader and looked at her intently
“It’s time for me to go”, She said ever so warmly
An oxymoron was witnessed therein, happy tears of the tot
The departure of her beautiful mentor was a happy heartbreak of sorts
“Put me in my bassinet and keep it by the fireplace”
I am still scared of the winter, put me in a safe space
“Look in the mirror once, my dear” and face what is real
“Look at your body and your soul, you have outgrown your cradle”
A steady gust of warmth flushed the tot’s face
She wasn’t a tot anymore, but a woman running life’s race
The silent reader’s face beamed as she bid her final goodbye,
With grace matchless and bliss unrivaled, she walked away
Away she walked, into a world of new adventures
Of fun, frolic, and ardent ventures
Leaving behind the beautiful difference she had made
Unaware of the fact that a life had been saved
The sands in life’s hourglass kept slipping out
The woman had healed, without a spec of doubt
She had forgotten her lovers and surely all the haters
# Someone pasted data records at this point
'''
The following is a DFT calculation (the ωB97M-V functional and the def2-TZVPD basis) of a 11-piece molecular cluster, C44H121N11O11 overall.

- SMILES: COC[C@H](C)N.COC[C@H](C)N.COC[C@H](C)N.COC[C@H](C)N.COC[C@H](C)N.COC[C@H](C)N.COC[C@H](C)N.COC[C@H](C)N.COC[C@H](C)N.COC[C@H](C)N.COC[C@H](C)N
- Orbital gap: 9.2 eV
- Energy relative to the best compared isomer or geometry (same formula, charge and spin): 742.7 kJ/mol

Last column: Löwdin charge in e.
Positions of all 187 atoms, in Å:
C: 0.616 -4.491 4.558  -0.0281
C: 1.894 -3.574 4.542  -0.3913
C: 2.352 -2.907 5.861  -0.1782
O: 1.304 -2.120 6.406  -0.2657
C: 1.637 -1.270 7.541  -0.0508
N: 3.022 -4.310 3.995  0.0427
H: 0.508 -5.070 3.641  0.0676
H: -0.210 -3.797 4.713  0.0431
H: 0.426 -5.173 5.387  0.0769
H: 1.778 -2.729 3.863  0.1226
H: 3.216 -2.271 5.670  0.1227
H: 2.563 -3.637 6.643  0.1303
H: 1.723 -1.846 8.463  0.0902
H: 0.848 -0.518 7.537  0.0803
H: 2.511 -0.665 7.305  0.0871
H: 3.904 -4.084 4.432  0.0705
H: 3.003 -4.087 3.010  0.0268
C: 6.595 5.561 -0.048  -0.0548
C: 5.632 4.390 -0.487  -0.3830
C: 5.243 4.264 -1.958  -0.1574
O: 4.853 2.885 -2.307  -0.2039
C: 3.481 2.593 -2.016  -0.1095
N: 6.410 3.148 -0.134  0.0234
H: 6.238 6.545 -0.350  0.0662
H: 7.638 5.484 -0.357  0.0696
H: 6.621 5.617 1.040  0.0718
H: 4.815 4.258 0.223  0.1212
H: 6.163 4.356 -2.536  0.1232
H: 4.624 5.084 -2.322  0.1209
H: 2.668 3.039 -2.588  0.0547
H: 3.138 2.713 -0.988  0.0814
H: 3.561 1.523 -2.209  0.0898
H: 5.990 2.536 -0.818  0.0356
H: 7.338 3.356 -0.475  0.0537
C: 4.730 -8.231 -2.400  -0.0594
C: 4.489 -6.666 -2.165  -0.3765
C: 3.757 -6.525 -0.804  -0.2008
O: 3.511 -5.173 -0.468  -0.1788
C: 2.935 -4.944 0.734  -0.1779
N: 5.773 -6.031 -1.977  0.0283
H: 3.811 -8.803 -2.278  0.0620
H: 5.389 -8.751 -1.705  0.0691
H: 4.996 -8.495 -3.424  0.0659
H: 3.916 -6.267 -3.002  0.1386
H: 4.404 -7.024 -0.081  0.1208
H: 2.755 -6.931 -0.665  0.1248
H: 1.865 -5.134 0.815  0.0832
H: 3.049 -3.879 0.933  0.0721
H: 3.441 -5.454 1.555  0.0873
H: 6.193 -6.334 -1.109  0.0693
H: 5.567 -5.058 -1.801  0.0596
C: -6.624 -1.865 2.997  -0.0429
C: -5.868 -3.091 2.423  -0.4595
C: -4.391 -3.100 2.598  -0.1663
O: -3.875 -4.385 2.137  -0.1645
C: -2.593 -4.565 2.521  -0.1747
N: -6.393 -4.257 3.058  0.0272
H: -6.084 -0.986 2.645  0.0626
H: -6.631 -1.895 4.087  0.0710
H: -7.689 -1.925 2.776  0.0804
H: -6.333 -3.210 1.444  0.1314
H: -4.233 -2.962 3.667  0.1247
H: -3.959 -2.262 2.050  0.1223
H: -2.430 -4.499 3.597  0.0771
H: -1.795 -3.922 2.149  0.0737
H: -2.335 -5.584 2.233  0.0970
H: -5.816 -5.059 2.848  0.0678
H: -6.379 -4.232 4.067  0.0712
C: -6.138 -4.592 -1.719  -0.0627
C: -5.222 -3.928 -2.755  -0.4290
C: -4.386 -2.712 -2.259  -0.2321
O: -5.280 -1.755 -1.830  -0.1815
C: -4.608 -0.686 -0.992  -0.0315
N: -4.417 -5.030 -3.261  0.0114
H: -6.367 -5.610 -2.032  0.0754
H: -7.023 -3.979 -1.548  0.0745
H: -5.607 -4.572 -0.767  0.0697
H: -5.823 -3.654 -3.622  0.1325
H: -3.939 -2.244 -3.137  0.1267
H: -3.705 -3.103 -1.504  0.1250
H: -5.275 -0.292 -0.226  0.0678
'''
But etched in her heart will always be the beautiful Silent Reader